**Exercise**
Could you say how many lines of the lines underneath hold the word "Calculated", as a bare number?
**Listing**
=====
No. 1
A plane-wave DFT calculation with PBE-GGA was carried out for Zr3Sb4Pt3 after structural relaxation.

a = 8.2189 Å, b = 8.2189 Å, c = 8.2189 Å
α = 109.47°, β = 109.47°, γ = 109.47°
Fractional positions:
1 Zr 0.6250 0.3750 0.2500
2 Zr 0.1250 0.7500 0.8750
3 Zr 0.8750 0.1250 0.7500
4 Zr 0.3750 0.2500 0.6250
5 Zr 0.7500 0.8750 0.1250
6 Zr 0.2500 0.6250 0.3750
7 Sb 0.1849 0.1849 0.1849
8 Sb 0.0000 0.8151 0.5000
9 Sb 0.5000 0.0000 0.8151
10 Sb 0.3151 0.5000 0.0000
11 Sb 0.6849 0.6849 0.6849
12 Sb 0.8151 0.5000 0.0000
13 Sb 0.5000 0.0000 0.3151
14 Sb 0.0000 0.3151 0.5000
15 Pt 0.1250 0.8750 0.2500
16 Pt 0.3750 0.6250 0.7500
17 Pt 0.2500 0.1250 0.8750
18 Pt 0.8750 0.2500 0.1250
19 Pt 0.6250 0.7500 0.3750
20 Pt 0.7500 0.3750 0.6250

Calculated values
Maximum piezoelectric response in C/m2: 1.10
Uncorrected energy in eV per cell: -136.7
ΔE_f in kcal/mol of atoms: -18.4
Space group: I-43d, No. 220

No. 2
A plane-wave DFT calculation with PBE-GGA was carried out for Sc2Pt after structural relaxation.

a = 4.5204 Å, b = 6.6243 Å, c = 8.2541 Å
α = 90.00°, β = 90.00°, γ = 90.00°
Fractional positions:
1 Sc 0.2500 0.9872 0.3261
2 Sc 0.7500 0.6481 0.4231
3 Sc 0.7500 0.1481 0.0769
4 Sc 0.2500 0.3519 0.5769
5 Sc 0.7500 0.5128 0.8261
6 Sc 0.7500 0.0128 0.6739
7 Sc 0.2500 0.4872 0.1739
8 Sc 0.2500 0.8519 0.9231
9 Pt 0.7500 0.2408 0.4027
10 Pt 0.2500 0.2592 0.9027
11 Pt 0.7500 0.7408 0.0973
12 Pt 0.2500 0.7592 0.5973

Calculated values
Uncorrected energy in eV per cell: -86.7
ΔE_f in kcal/mol of atoms: -22.5
Space group: Pnma, No. 62

No. 3
A plane-wave DFT calculation with PBE-GGA was carried out for Sc57Pt13 after structural relaxation.

a = 14.5017 Å, b = 14.5017 Å, c = 14.5017 Å
α = 90.00°, β = 90.00°, γ = 90.00°
Fractional positions:
1 Sc 0.0000 0.6257 0.0000
2 Sc 0.7915 0.6143 0.3224
3 Sc 0.3224 0.7915 0.6143
4 Sc 0.8891 0.8130 0.2972
5 Sc 0.0000 0.8234 0.1069
6 Sc 0.2972 0.8891 0.8130
7 Sc 0.7915 0.3857 0.3224
8 Sc 0.6732 0.3920 0.5000
9 Sc 0.5000 0.8594 0.5000
10 Sc 0.1870 0.7028 0.1109
11 Sc 0.5000 0.1406 0.5000
12 Sc 0.6143 0.6776 0.7915
13 Sc 0.2972 0.1109 0.1870
14 Sc 0.0000 0.0000 0.3743
15 Sc 0.5000 0.0000 0.2227
16 Sc 0.6776 0.2085 0.6143
17 Sc 0.8259 0.8986 0.5000
18 Sc 0.0000 0.0000 0.6257
19 Sc 0.6075 0.3727 0.0000
20 Sc 0.5000 0.8259 0.8986
21 Sc 0.6075 0.6273 0.0000
22 Sc 0.3920 0.5000 0.6732
23 Sc 0.3857 0.3224 0.2085
24 Sc 0.5000 0.1741 0.8986
25 Sc 0.8130 0.7028 0.8891
26 Sc 0.8891 0.8130 0.7028
27 Sc 0.5000 0.6732 0.6080
28 Sc 0.1069 0.0000 0.1766
29 Sc 0.2085 0.3857 0.6776
30 Sc 0.1109 0.8130 0.7028
31 Sc 0.8130 0.2972 0.8891
32 Sc 0.8931 0.0000 0.1766
33 Sc 0.0000 0.1766 0.8931
34 Sc 0.5000 0.1741 0.1014
35 Sc 0.1014 0.5000 0.8259
36 Sc 0.0000 0.6075 0.6273
37 Sc 0.7028 0.8891 0.8130
38 Sc 0.8891 0.1870 0.2972
39 Sc 0.5000 0.6732 0.3920
40 Sc 0.1109 0.1870 0.2972
41 Sc 0.8130 0.2972 0.1109
42 Sc 0.2085 0.6143 0.3224
43 Sc 0.3268 0.3920 0.5000
44 Sc 0.0000 0.6075 0.3727
45 Sc 0.3920 0.5000 0.3268
46 Sc 0.2972 0.8891 0.1870
47 Sc 0.0000 0.3925 0.3727
48 Sc 0.6273 0.0000 0.6075
49 Sc 0.6143 0.6776 0.2085
50 Sc 0.1109 0.8130 0.2972
51 Sc 0.5000 0.5000 0.8594
52 Sc 0.8234 0.8931 0.0000
53 Sc 0.6257 0.0000 0.0000
54 Sc 0.3727 0.0000 0.3925
55 Sc 0.8891 0.1870 0.7028
56 Sc 0.6080 0.5000 0.6732
57 Sc 0.1741 0.1014 0.5000
58 Sc 0.8234 0.1069 0.0000
59 Sc 0.5000 0.8259 0.1014
60 Sc 0.6143 0.3224 0.7915
61 Sc 0.0000 0.3925 0.6273
62 Sc 0.7028 0.1109 0.1870
63 Sc 0.2972 0.1109 0.8130
64 Sc 0.8931 0.0000 0.8234
65 Sc 0.2085 0.3857 0.3224
66 Sc 0.3268 0.6080 0.5000
67 Sc 0.3925 0.6273 0.0000
68 Sc 0.7028 0.1109 0.8130
69 Sc 0.7773 0.5000 0.0000
70 Sc 0.3224 0.2085 0.3857
71 Sc 0.8259 0.1014 0.5000
72 Sc 0.6080 0.5000 0.3268
73 Sc 0.5000 0.3268 0.3920
74 Sc 0.3857 0.3224 0.7915
75 Sc 0.8986 0.5000 0.8259
76 Sc 0.6776 0.7915 0.3857
77 Sc 0.1870 0.2972 0.1109
78 Sc 0.3727 0.0000 0.6075
79 Sc 0.1069 0.0000 0.8234
80 Sc 0.1870 0.7028 0.8891
81 Sc 0.6776 0.2085 0.3857
82 Sc 0.0000 0.1766 0.1069
83 Sc 0.8130 0.7028 0.1109
=====
**Response**
2